/*
(1)
The following is a quantum chemistry calculation of ArH24O12 as an isolated structure at a distorted geometry, from the OMol25 dataset.

Atoms and positions in Å:
Ar  -9.973404  3.780241  -3.500603
O  -11.958374  4.161403  -6.263314
H  -12.712054  4.288754  -5.687124
H  -12.330968  4.140720  -7.144788
O  -12.027342  7.257969  -2.748754
H  -12.369236  6.378139  -2.589917
H  -12.630310  7.638025  -3.387667
O  -9.707904  2.148895  -6.557055
H  -10.489279  2.619247  -6.266454
H  -9.711246  2.243446  -7.509563
O  -7.319141  2.453002  -2.896380
H  -6.631399  2.777615  -3.477647
H  -7.368693  1.515544  -3.083353
O  -13.387414  4.924905  -2.421296
H  -13.043585  4.098367  -2.082405
H  -13.832655  4.684480  -3.233816
O  -9.141979  6.712040  -2.606400
H  -10.052137  6.888946  -2.844190
H  -9.071219  5.757574  -2.621284
O  -10.618798  0.671357  -1.934044
H  -10.658832  1.621597  -1.825985
H  -9.978142  0.382685  -1.284067
O  -9.837286  5.692227  -6.490899
H  -9.590105  5.424394  -7.375995
H  -10.662273  5.236460  -6.323830
O  -7.647765  6.229107  -4.757543
H  -8.308080  5.986928  -5.406833
H  -8.143181  6.361468  -3.949290
O  -5.483000  3.787248  -4.805223
H  -5.709195  3.061242  -5.386588
H  -6.250723  4.358599  -4.824873
O  -11.915643  3.190251  -1.042099
H  -11.211122  3.707603  -0.651959
H  -12.373085  2.805415  -0.294522
O  -9.695258  4.382020  -0.237713
H  -9.238755  5.221929  -0.286515
H  -9.018780  3.730176  -0.421284

Forces on atoms 1 to 2 (eV/Å):
Ar -0.19 -0.13 -0.21
O -0.27 -0.35 0.04

- E (eV) = -39314.69977
- frontier orbital gap (eV) = 9.717
- E_LUMO (eV) = -0.52
- M (u) = 256.128
- energy above the lowest of the compared OMol25 structures with the same formula, charge and spin (kJ/mol) = 110.9

Atom charges from the natural (NBO) analysis, given in e for atoms 1 to 5: atom 1 (Ar): 0.01, atom 2 (O): -0.95, atom 3 (H): 0.49, atom 4 (H): 0.49, atom 5 (O): -0.98

(2)
The following is a quantum chemistry calculation of ArH28O14 as an isolated structure at a distorted geometry, from the OMol25 dataset.

Atoms and positions in Å:
Ar  -0.113407  -0.136104  -0.393061
O  1.489572  -1.069260  2.115520
H  2.396193  -0.803181  2.268785
H  1.175994  -0.472616  1.435877
O  -2.976928  -0.658917  2.170074
H  -2.612358  -1.470709  1.817488
H  -2.324247  -0.357249  2.801918
O  2.214516  1.362119  -2.726349
H  2.815148  1.309716  -3.469807
H  2.563405  2.070598  -2.185449
O  -2.874499  2.024701  1.344418
H  -2.915739  1.104107  1.603305
H  -2.640681  2.002813  0.416470
O  1.778322  3.347637  -0.048291
H  1.848427  4.271089  0.193709
H  1.154073  2.982014  0.578483
O  -2.976213  1.811317  -1.371057
H  -3.111535  0.897203  -1.620723
H  -3.683062  2.286539  -1.807824
O  1.489411  -3.475187  0.523990
H  2.201994  -2.844804  0.629228
H  1.065420  -3.503494  1.381693
O  -0.465060  -0.515310  3.781601
H  0.205546  -0.837261  3.179208
H  -0.016655  0.146019  4.308670
O  -2.154207  -3.125353  0.873529
H  -1.816387  -2.613359  0.138701
H  -2.935879  -3.555624  0.526996
O  1.093992  -0.865745  -3.847946
H  0.636105  -0.557271  -4.629875
H  1.261730  -0.072361  -3.339389
O  4.075636  -1.584995  -0.037563
H  3.918074  -1.562872  -0.981443
H  3.718171  -0.757659  0.284877
O  -0.272901  2.469107  1.597479
H  -0.290666  3.177154  2.241367
H  -1.150827  2.089449  1.633967
O  -0.304450  -3.580077  -1.686888
H  0.273972  -3.529760  -0.925881
H  -0.169012  -2.751410  -2.146468
O  -0.480260  2.694846  -2.510712
H  -1.297620  2.382232  -2.122864
H  0.206893  2.271916  -1.995763

Forces on atoms 1 to 2 (eV/Å):
Ar -0.14 0.03 -0.21
O 0.42 -0.22 -0.15

- E (eV) = -43475.02891
- frontier orbital gap (eV) = 10.674
- E_LUMO (eV) = -0.14
- M (u) = 292.158
- energy above the lowest of the compared OMol25 structures with the same formula, charge and spin (kJ/mol) = 76.4

Atom charges from the natural (NBO) analysis, given in e for atoms 1 to 5: atom 1 (Ar): 0.01, atom 2 (O): -0.95, atom 3 (H): 0.48, atom 4 (H): 0.49, atom 5 (O): -0.99

(3)
*/

Now transcribe the listing further up from the first line to the one with "-12.369236" exactly.

(1)
The following is a quantum chemistry calculation of ArH24O12 as an isolated structure at a distorted geometry, from the OMol25 dataset.

Atoms and positions in Å:
Ar  -9.973404  3.780241  -3.500603
O  -11.958374  4.161403  -6.263314
H  -12.712054  4.288754  -5.687124
H  -12.330968  4.140720  -7.144788
O  -12.027342  7.257969  -2.748754
H  -12.369236  6.378139  -2.589917